Wednesday, September 02, 2009

Sex Tourism

As I lay awake last night unable to sleep, tossing and turning, I suddenly remembered a statement made by a friend of mine. She doesn't enjoy going to places like Thailand and Cambodia for the perceived thoughts that its catered to the sex industry. I just thought that it was a sweeping statement made as the sex industry had evolved due to poverty and lack of resources, funding, bribery etc. Its difficult to say that its wrong or right. Like Thailand for example, they make no qualms that they enjoyed millions and billions baht in revenue from sex tourism. But these are all perceptions only.

This same friend of mine would have no qualms going to Amsterdam for a holiday. Now, let's be clear and not cheat ourselves on this. Amsterdam is famed for their red light district, their liberal thinking and drugs freely available. The world's oldest profession, prostitution, is legal in Amsterdam and there are legislation to protect these sex workers. They don't come by cheap in Amsterdam. If I remember correctly, its about 50Euros for a 20 minutes session of just blowjob and their customers are required by law to use a condom. Moreover, these sex workers have the right to refuse a customer.

Now, this is in a liberal country. Put the same girls and scenario in a country where prostitution is not legal but accepted. It becomes a seedy profession where the pimps are often greedy and girls forced into prostitution for various reasons, with the most common reason due to money or dire financial straits. Then, you will get people that exploits the situation and then, suddenly, its all painted in a different color and light.

My friend's sweeping statement was stemmed from a perception of how things are painted. There are certain truths in that statement but then, if each country were to take measured steps to ensure the workers' safety and public acceptance, I'm pretty sure Asian countries would be viewed in a very different way.

By the way, these are only those in the business of prostitution. I haven't even touch on those girls that used their bodies for material gains, although they are labelled as girlfriend by their prospective clients. Its still a business transaction at the end of the day and I'm seeing more and more of young girls with mature men with the hopes of earning money. How would you view this then?

<<<
(1)
Molecular formula: C5H12NO
Method: DFT, ωB97M-V/def2-TZVPD

```
19
Properties=species:S:1:pos:R:3:forces:R:3:mulliken_charge:R:1
C -0.2514 -0.1804 0.8765 0.31 -1.00 -0.39 -0.9586
N 0.9721 -0.9670 0.5687 -0.08 0.27 -0.19 -0.4318
C 0.6708 -2.1686 -0.3095 0.09 0.09 0.15 -0.5501
O -0.3304 -2.9487 0.0803 -0.03 -0.06 -0.03 -0.8895
C -0.6992 0.6367 -0.3327 1.82 -0.28 0.02 -0.6860
C 0.2166 1.8707 -0.5874 -1.42 -0.10 0.04 -0.6263
C -0.5188 3.1930 -0.3090 0.44 0.15 0.07 -4.6769
H -0.0029 0.4556 1.7281 -0.28 0.16 0.06 0.5542
H -1.0207 -0.9259 1.1246 -0.20 0.35 0.24 0.4513
H 1.2692 -1.3817 1.4451 -0.02 0.00 0.13 0.2255
H 1.6727 -2.6791 -0.3373 0.05 0.00 -0.02 0.3243
H 0.5602 -1.7210 -1.3291 -0.07 -0.06 -0.04 0.2152
H -0.7125 -0.0636 -1.1710 0.10 0.14 -0.14 0.3123
H -1.6850 0.9772 -0.2244 -1.50 0.55 0.37 0.6650
H 0.4760 1.9176 -1.6469 0.58 -0.14 0.12 0.6211
H 1.0717 1.7794 0.0778 0.38 0.04 -0.38 0.3751
H -0.8610 3.3150 0.7263 -0.09 -0.21 0.01 0.4638
H 0.1486 4.0400 -0.4952 0.07 0.24 -0.02 1.8418
H -1.3814 3.3562 -0.9607 -0.16 -0.13 -0.02 0.7697
```
Positions in Å, forces in eV/Å.

Its multiplicity is 2. As for the net charge: -2. The HOMO energy (spin up / spin down) comes out at 4.03 / -0.19 eV. Its LUMO energy (spin up / spin down) is 0.2555 / 0.2536 hartree. The energy relative to the best compared isomer or geometry (same formula, charge and spin) comes out at 0.0 kJ/mol.


(2)
Molecular formula: C3H5N3O
Method: DFT, ωB97M-V/def2-TZVPD

```
12
Properties=species:S:1:pos:R:3:forces:R:3:mulliken_charge:R:1
O 1.2783 1.1947 1.2126 0.23 0.11 0.33 -0.4300
N 0.7211 0.8449 -0.0151 -0.41 -0.18 -0.11 -0.1027
C -0.7496 0.8111 -0.1134 -0.44 0.33 0.39 -0.6009
C -0.7562 -0.6102 -0.7256 2.00 1.13 -0.36 -0.0017
N -0.7299 -1.6021 0.3088 0.77 -0.75 1.42 -0.2573
N 0.5054 -1.5055 0.6066 -1.33 -0.76 0.43 -0.3898
C 0.8295 -0.5489 -0.4207 -1.11 0.31 -2.14 0.0269
H 1.0134 0.5515 1.8957 -0.10 -0.01 -0.29 0.3469
H -1.2707 0.8797 0.8469 0.00 0.04 -0.04 0.3114
H -1.1008 1.5788 -0.7993 -0.11 0.02 0.07 0.2715
H -1.3184 -0.7997 -1.6304 0.10 -0.07 -0.05 0.4103
H 1.5778 -0.7943 -1.1660 0.41 -0.16 0.35 0.4154
```
Positions in Å, forces in eV/Å.

As for the net charge: 0. The HOMO energy comes out at -9.41 eV. Its SMILES is ON1C[C@@H]2N=N[C@@H]21. Its LUMO energy is 0.0069 hartree. The energy relative to the best compared isomer or geometry (same formula, charge and spin) comes out at 567.1 kJ/mol.


(3)
Molecular formula: C58H43BF3NOP2STi
Method: DFT, ωB97M-V/def2-TZVPD

```
111
Properties=species:S:1:pos:R:3:forces:R:3:mulliken_charge:R:1
Ti 0.5441 -1.4992 -0.8310 0.28 0.66 -0.18 -0.8074
O -1.4007 -1.8262 -0.6265 0.17 -0.44 -0.30 -0.8731
S -1.3636 -0.5391 0.2443 -0.12 1.22 0.17 1.7082
C -1.9364 -0.6166 1.9064 -0.48 -0.06 0.05 1.4032
C -3.2491 -0.2021 2.1515 0.98 0.44 0.09 -0.8536
C -3.7180 0.1347 3.4189 -2.44 0.14 -0.42 -1.3496
C -2.9220 -0.0959 4.4832 0.33 0.39 1.59 0.0763
C -3.1526 0.1248 6.0038 0.51 -2.76 -1.25 -0.8117
C -1.7939 -0.3197 6.6499 -0.70 -0.17 -0.36 -0.9604
>>>
The page goes on:

Sex as business has always been viewed in a negative way. For me, its a way of survival like working is to adults. We need to have the means to pay our bills and secure a comfortable life later on. Why can't we be objective and view it as a profession?